Transcribe all of the listing below with every line break kept.

____________
Entry 1:
Simulated XRD peak list of Pr2Nd2SmY6 for copper Kα, from a GGA-PBE-relaxed structure.
Lines closer than 0.1° are merged.

Cell and atoms:
Cell lengths 6.754, 6.754, 10.632 Å; angles 90.00, 90.00, 129.32 degrees
Sites, in units of the cell vectors:
Pr 0.209 0.791 0.000
Pr 0.791 0.209 0.000
Nd 0.130 0.870 0.500
Nd 0.870 0.130 0.500
Sm 0.500 0.500 0.000
Y 0.000 0.000 0.205
Y 0.000 0.000 0.795
Y 0.349 0.651 0.300
Y 0.349 0.651 0.700
Y 0.651 0.349 0.300
Y 0.651 0.349 0.700

Peak list (6 most intense, 5° ≤ 2θ ≤ 70°, sorted by position)
two_theta, I_rel
30.48, 65
30.94, 42
31.72, 100
33.72, 18
43.98, 20
55.52, 20

=====

Entry 2:
Simulated XRD peak list of Pr2NdSmY5 for copper Kα, from a GGA-PBE-relaxed structure.
Lines closer than 0.1° are merged.

Cell and atoms:
Cell lengths 10.041, 10.041, 10.041 Å; angles 128.39, 128.39, 76.00 degrees
Sites, in units of the cell vectors:
Pr 0.118 0.618 0.737
Pr 0.382 0.118 0.500
Pr 0.618 0.882 0.500
Pr 0.882 0.382 0.263
Nd 0.250 0.750 0.500
Nd 0.750 0.250 0.500
Sm 0.250 0.250 0.000
Sm 0.750 0.750 0.000
Y 0.000 0.000 0.000
Y 0.070 0.153 0.500
Y 0.153 0.653 0.083
Y 0.347 0.430 0.500
Y 0.430 0.930 0.083
Y 0.500 0.500 0.000
Y 0.570 0.070 0.917
Y 0.653 0.570 0.500
Y 0.847 0.347 0.917
Y 0.930 0.847 0.500

Peak list (6 most intense, 5° ≤ 2θ ≤ 70°, sorted by position)
two_theta, I_rel
28.42, 56
28.89, 50
30.48, 100
37.53, 21
42.93, 21
52.19, 23

=====

Entry 3:
Simulated XRD peak list of PrNdSm2Y for copper Kα, from a GGA-PBE-relaxed structure.
Lines closer than 0.1° are merged.

Cell and atoms:
Cell lengths 8.322, 6.794, 6.281 Å; angles 90.00, 90.19, 90.00 degrees
Sites, in units of the cell vectors:
Pr 0.000 0.000 0.000
Pr 0.000 0.000 0.500
Nd 0.500 0.162 0.250
Nd 0.500 0.838 0.750
Sm 0.304 0.310 0.749
Sm 0.304 0.690 0.249
Sm 0.696 0.310 0.751
Sm 0.696 0.690 0.251
Y 0.000 0.421 0.250
Y 0.000 0.579 0.750

Peak list (6 most intense, 5° ≤ 2θ ≤ 70°, sorted by position)
two_theta, I_rel
28.40, 67
28.90, 100
30.42, 26
31.82, 40
33.22, 32
37.85, 34

=====

Entry 4:
Simulated XRD peak list of Pr2NdSm2Y6 for copper Kα, from a GGA-PBE-relaxed structure.
Lines closer than 0.1° are merged.

Cell and atoms:
Cell lengths 6.731, 6.731, 10.710 Å; angles 90.00, 90.00, 129.38 degrees
Sites, in units of the cell vectors:
Pr 0.133 0.867 0.000
Pr 0.867 0.133 0.000
Nd 0.500 0.500 0.500
Sm 0.207 0.793 0.500
Sm 0.793 0.207 0.500
Y 0.000 0.000 0.293
Y 0.000 0.000 0.707
Y 0.348 0.652 0.207
Y 0.348 0.652 0.793
Y 0.652 0.348 0.207
Y 0.652 0.348 0.793

Peak list (6 most intense, 5° ≤ 2θ ≤ 70°, sorted by position)
two_theta, I_rel
30.36, 30
30.55, 24
31.08, 39
31.74, 100
33.47, 19
55.71, 20

=====

Theoretical powder diffraction line list
Compound: MnAl2Sb2P6O24
Radiation: Cu Ka
Structure: a cell relaxed with GGA+U
Peak positions follow from Bragg's law for the DFT cell and can differ from measured ones.

```
data_MnAl2Sb2P6O24
_symmetry_space_group_name_H-M 'P 1'
_symmetry_Int_Tables_number 1
_cell_length_a 8.609
_cell_length_b 8.609
_cell_length_c 8.609
_cell_angle_alpha 58.79
_cell_angle_beta 58.79
_cell_angle_gamma 58.79
loop_
_symmetry_equiv_pos_as_xyz
'x,y,z'
loop_
_atom_site_label
_atom_site_type_symbol
_atom_site_fract_x
_atom_site_fract_y
_atom_site_fract_z
Mn1 Mn 0.000 0.000 0.000
Al1 Al 0.145 0.145 0.145
Al2 Al 0.855 0.855 0.855
Sb1 Sb 0.359 0.359 0.359
Sb2 Sb 0.641 0.641 0.641
P1 P 0.034 0.762 0.459
P2 P 0.238 0.541 0.966
P3 P 0.459 0.034 0.762
P4 P 0.541 0.966 0.238
P5 P 0.762 0.459 0.034
P6 P 0.966 0.238 0.541
O1 O 0.009 0.183 0.380
O2 O 0.092 0.907 0.253
O3 O 0.093 0.747 0.908
O4 O 0.148 0.249 0.531
O5 O 0.183 0.380 0.009
O6 O 0.201 0.561 0.479
O7 O 0.249 0.531 0.148
O8 O 0.253 0.092 0.907
O9 O 0.380 0.009 0.183
O10 O 0.439 0.521 0.799
O11 O 0.469 0.852 0.751
O12 O 0.479 0.201 0.561
O13 O 0.521 0.799 0.439
O14 O 0.531 0.148 0.249
O15 O 0.561 0.479 0.201
O16 O 0.620 0.991 0.817
O17 O 0.747 0.908 0.093
O18 O 0.751 0.469 0.852
O19 O 0.799 0.439 0.521
O20 O 0.817 0.620 0.991
O21 O 0.852 0.751 0.469
____________

Entry 1:
Simulated XRD peak list of Pr2Nd2SmY6 for copper Kα, from a GGA-PBE-relaxed structure.
Lines closer than 0.1° are merged.

Cell and atoms:
Cell lengths 6.754, 6.754, 10.632 Å; angles 90.00, 90.00, 129.32 degrees
Sites, in units of the cell vectors:
Pr 0.209 0.791 0.000
Pr 0.791 0.209 0.000
Nd 0.130 0.870 0.500
Nd 0.870 0.130 0.500
Sm 0.500 0.500 0.000
Y 0.000 0.000 0.205
Y 0.000 0.000 0.795
Y 0.349 0.651 0.300
Y 0.349 0.651 0.700
Y 0.651 0.349 0.300
Y 0.651 0.349 0.700

Peak list (6 most intense, 5° ≤ 2θ ≤ 70°, sorted by position)
two_theta, I_rel
30.48, 65
30.94, 42
31.72, 100
33.72, 18
43.98, 20
55.52, 20

=====

Entry 2:
Simulated XRD peak list of Pr2NdSmY5 for copper Kα, from a GGA-PBE-relaxed structure.
Lines closer than 0.1° are merged.

Cell and atoms:
Cell lengths 10.041, 10.041, 10.041 Å; angles 128.39, 128.39, 76.00 degrees
Sites, in units of the cell vectors:
Pr 0.118 0.618 0.737
Pr 0.382 0.118 0.500
Pr 0.618 0.882 0.500
Pr 0.882 0.382 0.263
Nd 0.250 0.750 0.500
Nd 0.750 0.250 0.500
Sm 0.250 0.250 0.000
Sm 0.750 0.750 0.000
Y 0.000 0.000 0.000
Y 0.070 0.153 0.500
Y 0.153 0.653 0.083
Y 0.347 0.430 0.500
Y 0.430 0.930 0.083
Y 0.500 0.500 0.000
Y 0.570 0.070 0.917
Y 0.653 0.570 0.500
Y 0.847 0.347 0.917
Y 0.930 0.847 0.500

Peak list (6 most intense, 5° ≤ 2θ ≤ 70°, sorted by position)
two_theta, I_rel
28.42, 56
28.89, 50
30.48, 100
37.53, 21
42.93, 21
52.19, 23

=====

Entry 3:
Simulated XRD peak list of PrNdSm2Y for copper Kα, from a GGA-PBE-relaxed structure.
Lines closer than 0.1° are merged.

Cell and atoms:
Cell lengths 8.322, 6.794, 6.281 Å; angles 90.00, 90.19, 90.00 degrees
Sites, in units of the cell vectors:
Pr 0.000 0.000 0.000
Pr 0.000 0.000 0.500
Nd 0.500 0.162 0.250
Nd 0.500 0.838 0.750
Sm 0.304 0.310 0.749
Sm 0.304 0.690 0.249
Sm 0.696 0.310 0.751
Sm 0.696 0.690 0.251
Y 0.000 0.421 0.250
Y 0.000 0.579 0.750

Peak list (6 most intense, 5° ≤ 2θ ≤ 70°, sorted by position)
two_theta, I_rel
28.40, 67
28.90, 100
30.42, 26
31.82, 40
33.22, 32
37.85, 34

=====

Entry 4:
Simulated XRD peak list of Pr2NdSm2Y6 for copper Kα, from a GGA-PBE-relaxed structure.
Lines closer than 0.1° are merged.

Cell and atoms:
Cell lengths 6.731, 6.731, 10.710 Å; angles 90.00, 90.00, 129.38 degrees
Sites, in units of the cell vectors:
Pr 0.133 0.867 0.000
Pr 0.867 0.133 0.000
Nd 0.500 0.500 0.500
Sm 0.207 0.793 0.500
Sm 0.793 0.207 0.500
Y 0.000 0.000 0.293
Y 0.000 0.000 0.707
Y 0.348 0.652 0.207
Y 0.348 0.652 0.793
Y 0.652 0.348 0.207
Y 0.652 0.348 0.793

Peak list (6 most intense, 5° ≤ 2θ ≤ 70°, sorted by position)
two_theta, I_rel
30.36, 30
30.55, 24
31.08, 39
31.74, 100
33.47, 19
55.71, 20

=====

Theoretical powder diffraction line list
Compound: MnAl2Sb2P6O24
Radiation: Cu Ka
Structure: a cell relaxed with GGA+U
Peak positions follow from Bragg's law for the DFT cell and can differ from measured ones.

```
data_MnAl2Sb2P6O24
_symmetry_space_group_name_H-M 'P 1'
_symmetry_Int_Tables_number 1
_cell_length_a 8.609
_cell_length_b 8.609
_cell_length_c 8.609
_cell_angle_alpha 58.79
_cell_angle_beta 58.79
_cell_angle_gamma 58.79
loop_
_symmetry_equiv_pos_as_xyz
'x,y,z'
loop_
_atom_site_label
_atom_site_type_symbol
_atom_site_fract_x
_atom_site_fract_y
_atom_site_fract_z
Mn1 Mn 0.000 0.000 0.000
Al1 Al 0.145 0.145 0.145
Al2 Al 0.855 0.855 0.855
Sb1 Sb 0.359 0.359 0.359
Sb2 Sb 0.641 0.641 0.641
P1 P 0.034 0.762 0.459
P2 P 0.238 0.541 0.966
P3 P 0.459 0.034 0.762
P4 P 0.541 0.966 0.238
P5 P 0.762 0.459 0.034
P6 P 0.966 0.238 0.541
O1 O 0.009 0.183 0.380
O2 O 0.092 0.907 0.253
O3 O 0.093 0.747 0.908
O4 O 0.148 0.249 0.531
O5 O 0.183 0.380 0.009
O6 O 0.201 0.561 0.479
O7 O 0.249 0.531 0.148
O8 O 0.253 0.092 0.907
O9 O 0.380 0.009 0.183
O10 O 0.439 0.521 0.799
O11 O 0.469 0.852 0.751
O12 O 0.479 0.201 0.561
O13 O 0.521 0.799 0.439
O14 O 0.531 0.148 0.249
O15 O 0.561 0.479 0.201
O16 O 0.620 0.991 0.817
O17 O 0.747 0.908 0.093
O18 O 0.751 0.469 0.852
O19 O 0.799 0.439 0.521
O20 O 0.817 0.620 0.991
O21 O 0.852 0.751 0.469